There Was Such A Thing In The World?!

After some chit-chat with the elders and settling their questions, Tang Zixin had gained the Lunar Moon clan's permission to take Han Ying out for a walk, who had all instantly approved with happiness.

Having seen the chatty elders off, Tang Zixin finally glanced at the young maiden to his side, and he noticed the beads of sweat on her white nape.

The two had already traversed quite the distance and were nearing a popular district of the capital known as the Yate Grandly Lights. It was a merchant district that affluent young masters and misses often frequented; they were close to the border's entrance.

(Misplaced data records)
'''
Record 1
C26H44CoN3P2 | ωB97M-V with the def2-TZVPD basis set

The molar mass comes out at 519.54 g/mol. As for the total charge: +2. As for the HOMO-LUMO gap (spin up / spin down): 8.552 / 6.498 eV. For the total energy, the calculation gives -88337.4758 eV. The LUMO energy (spin up / spin down) comes out at -5.04 / -7.91 eV. The value obtained for the max |F| is 1.232 eV Å⁻¹. Its expectation value of S² is 6.06. Its spin multiplicity is 5.

Atoms and positions in Å:
Co: 0.406 -1.081 -0.103
C: 2.277 2.088 -1.683
C: 3.257 1.068 -1.105
C: 3.879 0.216 -2.212
P: 2.432 -0.017 0.152
C: 3.844 -1.007 0.876
C: 3.854 -2.395 0.218
C: 3.800 -1.128 2.401
C: 1.847 1.210 1.378
C: 2.723 2.101 1.965
C: 2.280 3.157 2.771
C: 3.254 4.081 3.423
C: 0.897 3.328 2.921
C: -0.001 2.467 2.340
C: 0.440 1.344 1.595
N: -0.383 0.440 1.003
C: -1.758 0.372 1.106
C: -2.501 0.681 2.259
C: -3.879 0.635 2.242
C: -4.583 0.300 1.082
C: -6.079 0.292 1.050
C: -3.847 -0.081 -0.044
C: -2.463 -0.091 -0.042
P: -1.428 -0.649 -1.443
C: -1.392 0.736 -2.679
C: -2.749 1.353 -3.004
C: -0.657 0.260 -3.934
C: -2.158 -2.182 -2.204
C: -3.612 -2.180 -2.672
C: -1.922 -3.333 -1.221
H: 2.814 2.771 -2.343
H: 1.790 2.684 -0.911
H: 1.510 1.584 -2.278
H: 4.045 1.585 -0.551
H: 3.114 -0.380 -2.715
H: 4.654 -0.453 -1.837
H: 4.339 0.865 -2.957
H: 4.755 -0.476 0.590
H: 2.852 -2.838 0.206
H: 4.507 -3.066 0.775
H: 4.208 -2.361 -0.812
H: 2.932 -1.699 2.741
H: 3.782 -0.163 2.899
H: 4.687 -1.662 2.740
H: 3.787 2.000 1.783
H: 4.139 4.228 2.806
H: 3.588 3.652 4.372
H: 2.806 5.049 3.639
H: 0.529 4.173 3.489
H: -1.056 2.678 2.418
H: -1.984 0.910 3.181
H: -4.430 0.865 3.145
H: -6.498 0.921 1.832
H: -6.449 -0.725 1.205
H: -6.454 0.628 0.084
H: -4.382 -0.367 -0.939
H: -0.786 1.498 -2.176
H: -3.400 0.652 -3.525
H: -2.593 2.203 -3.669
H: -3.258 1.719 -2.115
H: -1.271 -0.434 -4.508
H: 0.288 -0.232 -3.689
H: -0.435 1.111 -4.578
H: -1.519 -2.332 -3.081
H: -4.307 -2.167 -1.834
H: -3.789 -3.104 -3.224
H: -3.839 -1.358 -3.348
H: -2.492 -3.163 -0.303
H: -0.861 -3.436 -0.983
H: -2.261 -4.274 -1.653
N: 0.115 -3.870 1.611
N: 0.302 -2.444 1.556
H: 0.804 -4.331 1.034
H: -0.808 -4.107 1.280
H: 1.165 -2.272 2.063
H: -0.421 -2.045 2.150

Record 2
C26H44F2I2N5O7 | ωB97M-V with the def2-TZVPD basis set

The molar mass comes out at 830.47 g/mol. As for the total charge: +1. As for the HOMO-LUMO gap: 7.678 eV. For the total energy, the calculation gives -71083.8972 eV. The LUMO energy comes out at -3.15 eV. The value obtained for the max |F| is 1.722 eV Å⁻¹. Its spin multiplicity is 1.

Atoms and positions in Å:
C: 0.815 -3.256 1.749
C: 1.812 -3.769 0.723
C: 1.296 -3.819 -0.699
O: 0.868 -2.586 -1.293
C: 1.783 -1.524 -1.143
C: 1.627 -0.518 -2.287
N: 2.728 0.482 -2.280
C: 3.477 0.611 -1.018
C: 4.739 -0.154 -0.729
O: 3.051 1.395 -0.222
C: 3.515 0.678 -3.493
C: 4.783 -0.059 -3.808
O: 3.104 1.504 -4.267
C: 1.387 -1.277 -3.582
O: 2.443 -1.887 -4.195
C: 2.315 -3.310 -4.378
C: 3.666 -3.860 -4.813
N: 0.704 -0.251 -4.530
O: 1.446 0.099 -5.716
'''

Han Ying could not bear the silence any longer and she quietly asked, "B-Brother Xin, where are we?"

She still could not get used to affectionately calling him Brother Xin, who was like an idol to her.

Tang Zixin knew that Han Ying was not paying attention to where they had been going at all, so he was not surprised.

"Han Ying, we are at the Yate Grandly Lights." Tang Zixin pointed at a red billboard. "Have you been here before?"

All this way, Tang Zixin had been walking with his hands clasped behind his back, so his arms felt rather stiff at this moment.

This type of quick response was very much a grand improvement compared to the him of the past, who was once like a block of ice who did not answer anyone.

"Mm, I have, Brother Xin." Han Ying subconsciously answered.

During this time, many bystanders had begun to notice them, making the young maiden a bit nervous. She was not used to all the attention.

Of course, they were not staring at her, but rather the white-robed young man at her side. They were all curious about his identity. In this era, most of the strong cultivators had an attractive and noble appearance, but this young man seemed to be many steps beyond the rest.

Though the Twelve-Suns Eldest Young Master had a renowned reputation throughout the capital, not many were aware of his appearance apart from the fact that he was handsome.

Tang Zixin, the Twelve-Suns Eldest Young Master, was very mysterious and did not frequent out much, but each time he did, the capital would be in an uproar.

It was not just because of his looks and power, but rather the havoc he would wreak each time.

"Is there any place you would like to go then, Han Ying?" Tang Zixin thoughtfully said.

"How about there, Brother Xin?" Han Ying asked, carefully watching his reaction.

If he showed any dissatisfaction, she would instantly change her mind to another.

Looking in her direction, Tang Zixin saw a large dumpling stand, and he raised his brow.

"N-nevermind!" Han Ying hurriedly waved her hands. How could she have been so stupid recommend a street store to the Twelve-Suns Eldest Young Master?

Though it really was super delicious…

"No, it's okay. I don't mind." Tang Zixin laughed and rubbed her soft head.


Blushing, when Han Ying saw her idol nod again, she instantly became gratified and cheerful.

Clearly, she had become someone important to him, but she still did not know how exactly.

Regardless of the reason, it still made her very happy.

Tang Zixin followed Han Ying's lead, watching her slim hips sway back and forth.

"She has quite a good figure." Tang Zixin thought with a nod. In the past, he had not paid attention to her appearance at all, but now that he did, she was indeed not bad at all.

Feeling the hot gaze behind her, Han Ying blushed, and Tang Zixin did not miss the tips of her white ears turning red.

Coughing, Tang Zixin realised that he was being inappropriate in a public space.

Very soon, at the dumpling stand, Tang Zixin and Han Ying were greeted with the male shopkeeper's pudgy face who was clad in a clean white chef outfit.

"Uncle Ren." Han Ying politely greeted the pudgy male shopkeeper.

"So it's Little Ying! Will that be the same as usual?" Shopkeeper Ren chuckled. Clearly, he was used to seeing her, and he liked her kind and innocent personality.

Little Ying was around the same age as his daughter. Shopkeeper Ren thought that the two would be able to get along very well, though he could tell that despite her kind behavior, she was definitely someone of a rather high status.

"Uncle Ren, please make it two portions this time." Han Ying hurriedly hinted at Tang Zixin, who was standing beside her with a pair of narrowed eyes.

"If she becomes sick from eating this, today will be your last old man." Tang Zixin snickered inside. He did not worry about himself in the slightest, but Han Ying was clearly a frail little girl. What if she got sick from eating at this dirty food stand?

Taking a thousand lives of this old man would not be enough.

"Right away, Little Ying." Shopkeeper Ren laughed as he shouted behind him, "Little Han, two orders of our special soup dumplings, and two fresh soymilks!"

"The soymilk is on the house, Little Ying. It is freshly grinded. You will definitely love it." Shopkeeper Ren chuckled.

"Thank you, Uncle Ren." Han Ying giggled, handing over a few bronze coins.

While they moved to the side to allow the next lady in line to order, Han Ying was trying her best to come up with something to talk about with Tang Zixin, but her mind was blank.

During her distress, Tang Zixin suddenly asked, "You like this kind of stuff?"

Though he had known her for years, he still not did not even know what she liked and disliked, he felt guilty.

"Is that bad?" Han Ying looked at the cold, hard ground, her fingers intertwining in embarrassment.

"N-not at all." Tang Zixin, seeing his future wife's pitiful appearance, had the sudden urge to hug and protect her.

"Ah!" Suddenly, while Han Ying was thinking about his words just now, a large figure almost twice her size bumped into her from behind.

Not to mention that, after Han Ying was bumped into, she even felt a scorching-hot liquid pour all over her back.

• Misplaced calculated molecules:
=====
No. 1
DFT (ωB97M-V/def2-TZVPD) results for 14 unconnected molecules or ions with the total composition C50H137N9O16 at a distorted geometry.

Geometry as XYZ:
```
212
Properties=species:S:1:pos:R:3:lowdin_charge:R:1
C 3.784 4.001 2.579 -0.10
O 3.116 2.780 2.902 -0.23
C 3.424 2.274 4.174 -0.23
C 2.688 0.959 4.319 -0.21
N 2.779 0.248 5.578 -0.05
C 2.713 -1.210 5.373 -0.18
C 2.048 -1.957 6.551 -0.23
O 0.874 -1.309 6.886 -0.26
C 0.310 -1.456 8.184 -0.05
H 4.862 3.872 2.718 0.08
H 3.517 4.819 3.251 0.09
H 3.542 4.273 1.556 0.09
H 3.106 2.989 4.946 0.13
H 4.492 2.103 4.366 0.13
H 3.148 0.372 3.517 0.12
H 1.621 1.123 4.122 0.12
H 2.072 0.547 6.234 0.10
H 3.747 -1.497 5.202 0.12
H 2.055 -1.382 4.512 0.09
H 2.784 -1.913 7.368 0.13
H 1.900 -3.005 6.264 0.13
H 0.960 -0.893 8.862 0.09
H 0.489 -2.497 8.475 0.10
H -0.731 -1.160 8.185 0.09
C -2.097 -3.726 -0.616 -0.20
O -3.227 -3.214 -1.216 -0.12
C -3.031 -2.057 -1.975 -0.19
C -2.569 -2.394 -3.413 -0.21
N -3.697 -2.597 -4.323 -0.06
C -3.384 -3.407 -5.461 -0.21
C -3.290 -4.911 -5.166 -0.23
O -4.426 -5.310 -4.452 -0.18
C -4.286 -6.500 -3.726 -0.10
H -1.339 -2.966 -0.364 0.09
H -1.559 -4.459 -1.223 0.09
H -2.256 -4.162 0.426 0.02
H -2.226 -1.429 -1.580 0.06
H -3.995 -1.572 -2.142 0.13
H -1.752 -3.125 -3.368 0.05
H -1.990 -1.498 -3.674 0.08
H -4.407 -3.063 -3.766 0.12
H -2.450 -3.185 -5.984 0.13
H -4.156 -3.346 -6.236 0.12
H -2.367 -5.092 -4.593 0.10
H -3.096 -5.522 -6.057 0.13
H -5.162 -6.748 -3.132 0.09
H -3.484 -6.397 -2.979 0.08
H -3.973 -7.298 -4.408 0.09
C -1.706 -5.575 0.697 -0.11
C -1.019 -5.241 2.044 -0.33
C 0.395 -5.828 2.141 -0.21
O 1.065 -5.473 3.328 -0.17
C 2.364 -6.037 3.296 -0.11
N -1.061 -3.764 2.122 0.06
H -1.143 -5.151 -0.115 0.04
H -2.697 -5.139 0.769 0.09
H -1.875 -6.641 0.517 0.11
H -1.573 -5.618 2.907 0.15
H 0.916 -5.326 1.309 0.12
H 0.401 -6.910 1.980 0.13
H 2.847 -5.848 4.255 0.09
H 2.968 -5.591 2.503 0.07
H 2.350 -7.127 3.199 0.09
H -0.537 -3.445 2.947 0.05
H -0.539 -3.312 1.373 0.07
C 0.166 -4.108 -3.541 -0.04
C 0.953 -2.933 -2.930 -0.38
C 2.357 -2.733 -3.481 -0.20
O 3.210 -3.838 -3.315 -0.18
C 3.748 -4.077 -2.015 -0.09
N 0.222 -1.652 -3.149 0.03
H -0.879 -4.083 -3.257 0.01
H 0.592 -4.976 -3.027 0.09
H 0.256 -4.289 -4.611 0.10
H 0.984 -3.028 -1.842 0.12
H 2.833 -1.854 -3.025 0.13
H 2.309 -2.521 -4.553 0.13
H 4.568 -4.768 -2.188 0.09
H 3.002 -4.558 -1.374 0.08
H 4.067 -3.184 -1.473 0.07
H 0.213 -1.463 -4.151 0.10
H 0.773 -0.858 -2.827 0.06
C 6.455 1.732 0.709 -0.04
C 5.439 1.095 -0.254 -0.38
C 5.711 -0.353 -0.624 -0.21
O 6.709 -0.386 -1.621 -0.16
C 7.145 -1.704 -1.849 -0.12
N 4.067 1.280 0.296 0.05
H 6.087 1.545 1.722 0.07
H 6.288 2.814 0.678 0.07
H 7.488 1.513 0.459 0.08
H 5.321 1.717 -1.144 0.11
H 4.840 -0.971 -0.863 0.11
H 6.050 -0.813 0.319 0.13
H 7.514 -2.236 -0.965 0.09
H 7.881 -1.669 -2.649 0.09
H 6.351 -2.378 -2.197 0.07
H 3.548 0.496 0.680 0.05
H 4.165 1.867 1.119 0.04
C -2.794 2.316 -5.670 -0.06
C -3.097 1.039 -4.877 -0.42
C -4.512 1.224 -4.249 -0.18
O -4.436 2.356 -3.400 -0.24
=====
• Here the page continues:

It would definitely leave some marks if left untreated.

"Ai, ai. My back." The large burly figure irritatedly rubbed his back. "Little girl, why are you blocking my way? Tch, you even made me drop my soup and dumplings."

"Little Ying, are you okay?! Bastard, it was clearly you who bumped into her, and you are still not apologizing?" Shopkeeper Ren was about to continue denouncing this shameless figure, but after noticing the man's luxurious outfit, he knew that he could not afford to offend someone of this calibre as a mere shopkeeper.

Quickly, Shopkeeper Ren shut his mouth.

"Idiot, how dare you speak to Lord Wangzi like that?! He could buy your entire family and make them his slaves!" Standing next to the large burly figure was a servant boy in his teens, the boy continued to ruthlessly bark at Shopkeeper Ren.

Tang Zixin had been distracted by Han Ying's beauty, and it took him a moment to register what had happened.

"Han Ying!"

Hurriedly, Tang Zixin knelt on one knee as he allowed his aura to cover the trembling little beauty. The red marks began to quickly heal.

"I almost thought I had broken my back." Lord Wangzi continued rubbing his back as he handed the servant boy a gold coin, whose face instantly lit up at the sight.

"Thank you, Lord!"

Whenever his master was satisfied, the servant boy would be greatly rewarded.

Now, the servant boy finally turned his attention to Tang Zixin and Han Ying, "You two insolent things, still not bowing to Lord Wangzi?!"

"Just two brats. How do you plan on repaying me?" Lord Wangzi did not feel shameless about flipping right and wrong. After all, whoever held the most power would always be the right one!

Seeing the girl's pretty tearful face along with her slender and petite figure, Lord Wangzi licked his lips, "I believe that we will be able to privately settle this nicely."

If the law officials were to get involved, someone like Lord Wangzi definitely possessed the power to send a few insignificant individuals to suffer in prison.

The officials around these parts had been bribed by him long ago.

"B-Brother Xin." Han Ying could not help but cry. She was mournful and depressed. Why, why did everything have to go wrong today out of all days?

Compared to the scorching pain, she was much more afraid of earning Tang Zixin's scorn and contempt.

"Be obedient and don't move." Tang Zixin did not hide his worry as his anger soared. "I will handle this."

Seeing the white-robed youth stand up, the servant boy snickered, "Don't tell me you want to hit us in broad daylight? Are you not afraid of spending the rest of your life in prison?!"

"Fuck. Tizi, wait a moment." After having a clear look of the white-robed youth, Lord Wangzi wanted to stop the servant boy from speaking, but it was too late.

With his years of experience, Lord Wangzi was extremely crafty and knowledgeable like an old fox. Someone with a poise and appearance like that. How could they be ordinary?

Usually, he was cautious and would avoid offending anyone like that, even if he could afford to.

"Die." Tang Zixin did not even bother explaining as he pointed a finger.

This single finger beamed with a mysterious sword light as it cut through the air like a hot knife through butter.

In a flash, the servant boy was instantly decapitated, his mouth gaping outward.

Perhaps, he did not even have the time to register his death.

Lord Wangzi was stunned by the young man's decisiveness and ruthlessness.

Finally, fear crawled up behind him, his face darkened.

Sword intent! This young man, just who was he?!